== Excerpt ==
____________
(1)
DFT (r²SCAN) results for crystalline EuMgPd at its relaxed geometry.

Cell lengths 7.4695, 4.3552, 8.6657 Å; angles 90.00, 90.07, 90.00 degrees
With the nearest neighbours (Å) after each atom.
Space group Pm (No. 6)
Asymmetric unit:
Eu (0.0000, 0.0000, 0.0000) x1  5 Pd 3.14-3.18, 5 Mg 3.39-3.45
Eu (0.0651, 0.5000, 0.6441) x1  5 Pd 3.14-3.18, 5 Mg 3.39-3.46
Eu (0.4990, 0.0000, 0.1451) x1  5 Pd 3.14-3.18, 5 Mg 3.40-3.46
Eu (0.5648, 0.5000, 0.4983) x1  5 Pd 3.14-3.18, 5 Mg 3.40-3.45
Mg (0.1667, 0.5000, 0.2625) x1  4 Pd 2.77-2.93
Mg (0.3976, 0.0000, 0.7625) x1  4 Pd 2.77-2.93
Mg (0.6686, 0.5000, 0.8811) x1  4 Pd 2.78-2.92
Mg (0.8954, 0.0000, 0.3814) x1  4 Pd 2.78-2.92
Pd (0.2604, 0.0000, 0.4456) x1  4 Mg 2.78-2.93
Pd (0.3040, 0.5000, 0.9456) x1  4 Mg 2.78-2.93
Pd (0.7612, 0.0000, 0.6978) x1  4 Mg 2.77-2.92
Pd (0.8034, 0.5000, 0.1979) x1  4 Mg 2.77-2.92

Output
**Calculated density**: 6.661 Mg/m³
**Energy relative to the elements**: -1.80 eV per formula unit

---

(2)
DFT (r²SCAN) results for crystalline CaTi4S8 at its relaxed geometry.

Cell lengths 6.8744, 6.8744, 20.1761 Å; angles 90.00, 90.00, 120.00 degrees
With the nearest neighbours (Å) after each atom.
Space group R-3m (No. 166, hexagonal axes)
Asymmetric unit:
Ca (0.0000, 0.0000, 0.0000) x3  6 S 2.78
Ti (0.0000, 0.0000, 0.5000) x3  6 S 2.43
Ti (0.0000, 0.5000, 0.5000) x9  6 S 2.43-2.46
S (0.0000, 0.0000, 0.2362) x6  3 Ti 2.43
S (0.0038, 0.5019, 0.2378) x18  3 Ti 2.43-2.46

Output
**Calculated density**: 2.945 Mg/m³
**Relative energy among the computed polymorphs**: 0.0 meV/atom
**Energy relative to the elements**: -21.89 eV per formula unit

---

(3)
DFT (r²SCAN) results for crystalline Mg2Te3O9 at its relaxed geometry.

Cell lengths 9.1546, 7.1638, 12.5703 Å; angles 90.00, 123.00, 90.00 degrees
With the nearest neighbours (Å) after each atom.
Space group P2_1/c (No. 14)
Asymmetric unit:
Mg (0.1017, 0.1208, 0.1363) x4  6 O 2.11-2.25
Mg (0.1113, 0.6285, 0.1416) x4  4 O 2.11-2.21
Te (0.2595, 0.6146, 0.9272) x4  3 O 1.88-1.93
Te (0.2763, 0.1076, 0.9409) x4  3 O 1.89-2.03
Te (0.4950, 0.1283, 0.7482) x4  6 O 1.87-1.98
O (0.0843, 0.1088, 0.9582) x4  1 Te 1.89
O (0.0843, 0.6414, 0.9643) x4  1 Te 1.91, 1 Mg 2.11
O (0.1250, 0.0744, 0.3108) x4  1 Te 1.88
O (0.1906, 0.6538, 0.3336) x4  1 Te 1.93, 1 Mg 2.12
O (0.2622, 0.1327, 0.7027) x4  1 Te 1.88
O (0.2719, 0.6155, 0.7019) x4  1 Te 1.87
O (0.4148, 0.1960, 0.5766) x4  2 Te 1.92-2.03
O (0.4309, 0.5669, 0.5758) x4  2 Te 1.96-1.98
O (0.4626, 0.6226, 0.1886) x4  2 Te 1.91

Output
**Calculated density**: 5.528 Mg/m³
**Energy relative to the elements**: -23.15 eV per formula unit

---

(4)
DFT (r²SCAN) results for crystalline TmSe at its relaxed geometry.

Cell lengths 5.6485, 5.6485, 5.6485 Å; angles 90.00, 90.00, 90.00 degrees
With the nearest neighbours (Å) after each atom.
Space group Fm-3m (No. 225)
Asymmetric unit:
Tm (0.0000, 0.0000, 0.0000) x4  6 Se 2.82
Se (0.0000, 0.0000, 0.5000) x4  6 Tm 2.82

Output
**Calculated density**: 9.136 Mg/m³
**Energy relative to the elements**: -3.80 eV per formula unit

---

Q: Look up the energy relative to the elements of the first one.
A: -1.80 eV per formula unit

---

Repeat the second record exactly.
DFT (r²SCAN) results for crystalline CaTi4S8 at its relaxed geometry.

Cell lengths 6.8744, 6.8744, 20.1761 Å; angles 90.00, 90.00, 120.00 degrees
With the nearest neighbours (Å) after each atom.
Space group R-3m (No. 166, hexagonal axes)
Asymmetric unit:
Ca (0.0000, 0.0000, 0.0000) x3  6 S 2.78
Ti (0.0000, 0.0000, 0.5000) x3  6 S 2.43
Ti (0.0000, 0.5000, 0.5000) x9  6 S 2.43-2.46
S (0.0000, 0.0000, 0.2362) x6  3 Ti 2.43
S (0.0038, 0.5019, 0.2378) x18  3 Ti 2.43-2.46

Output
**Calculated density**: 2.945 Mg/m³
**Relative energy among the computed polymorphs**: 0.0 meV/atom
**Energy relative to the elements**: -21.89 eV per formula unit

----------

Arrangement i

Below is MgTe2Mo3WSe4S2 after structural relaxation, with properties calculated at the GGA-PBE level.

Calculated values
____________

== Brief ==
Print the whole of the block further above unchanged.

== Done ==
(1)
DFT (r²SCAN) results for crystalline EuMgPd at its relaxed geometry.

Cell lengths 7.4695, 4.3552, 8.6657 Å; angles 90.00, 90.07, 90.00 degrees
With the nearest neighbours (Å) after each atom.
Space group Pm (No. 6)
Asymmetric unit:
Eu (0.0000, 0.0000, 0.0000) x1  5 Pd 3.14-3.18, 5 Mg 3.39-3.45
Eu (0.0651, 0.5000, 0.6441) x1  5 Pd 3.14-3.18, 5 Mg 3.39-3.46
Eu (0.4990, 0.0000, 0.1451) x1  5 Pd 3.14-3.18, 5 Mg 3.40-3.46
Eu (0.5648, 0.5000, 0.4983) x1  5 Pd 3.14-3.18, 5 Mg 3.40-3.45
Mg (0.1667, 0.5000, 0.2625) x1  4 Pd 2.77-2.93
Mg (0.3976, 0.0000, 0.7625) x1  4 Pd 2.77-2.93
Mg (0.6686, 0.5000, 0.8811) x1  4 Pd 2.78-2.92
Mg (0.8954, 0.0000, 0.3814) x1  4 Pd 2.78-2.92
Pd (0.2604, 0.0000, 0.4456) x1  4 Mg 2.78-2.93
Pd (0.3040, 0.5000, 0.9456) x1  4 Mg 2.78-2.93
Pd (0.7612, 0.0000, 0.6978) x1  4 Mg 2.77-2.92
Pd (0.8034, 0.5000, 0.1979) x1  4 Mg 2.77-2.92

Output
**Calculated density**: 6.661 Mg/m³
**Energy relative to the elements**: -1.80 eV per formula unit

---

(2)
DFT (r²SCAN) results for crystalline CaTi4S8 at its relaxed geometry.

Cell lengths 6.8744, 6.8744, 20.1761 Å; angles 90.00, 90.00, 120.00 degrees
With the nearest neighbours (Å) after each atom.
Space group R-3m (No. 166, hexagonal axes)
Asymmetric unit:
Ca (0.0000, 0.0000, 0.0000) x3  6 S 2.78
Ti (0.0000, 0.0000, 0.5000) x3  6 S 2.43
Ti (0.0000, 0.5000, 0.5000) x9  6 S 2.43-2.46
S (0.0000, 0.0000, 0.2362) x6  3 Ti 2.43
S (0.0038, 0.5019, 0.2378) x18  3 Ti 2.43-2.46

Output
**Calculated density**: 2.945 Mg/m³
**Relative energy among the computed polymorphs**: 0.0 meV/atom
**Energy relative to the elements**: -21.89 eV per formula unit

---

(3)
DFT (r²SCAN) results for crystalline Mg2Te3O9 at its relaxed geometry.

Cell lengths 9.1546, 7.1638, 12.5703 Å; angles 90.00, 123.00, 90.00 degrees
With the nearest neighbours (Å) after each atom.
Space group P2_1/c (No. 14)
Asymmetric unit:
Mg (0.1017, 0.1208, 0.1363) x4  6 O 2.11-2.25
Mg (0.1113, 0.6285, 0.1416) x4  4 O 2.11-2.21
Te (0.2595, 0.6146, 0.9272) x4  3 O 1.88-1.93
Te (0.2763, 0.1076, 0.9409) x4  3 O 1.89-2.03
Te (0.4950, 0.1283, 0.7482) x4  6 O 1.87-1.98
O (0.0843, 0.1088, 0.9582) x4  1 Te 1.89
O (0.0843, 0.6414, 0.9643) x4  1 Te 1.91, 1 Mg 2.11
O (0.1250, 0.0744, 0.3108) x4  1 Te 1.88
O (0.1906, 0.6538, 0.3336) x4  1 Te 1.93, 1 Mg 2.12
O (0.2622, 0.1327, 0.7027) x4  1 Te 1.88
O (0.2719, 0.6155, 0.7019) x4  1 Te 1.87
O (0.4148, 0.1960, 0.5766) x4  2 Te 1.92-2.03
O (0.4309, 0.5669, 0.5758) x4  2 Te 1.96-1.98
O (0.4626, 0.6226, 0.1886) x4  2 Te 1.91

Output
**Calculated density**: 5.528 Mg/m³
**Energy relative to the elements**: -23.15 eV per formula unit

---

(4)
DFT (r²SCAN) results for crystalline TmSe at its relaxed geometry.

Cell lengths 5.6485, 5.6485, 5.6485 Å; angles 90.00, 90.00, 90.00 degrees
With the nearest neighbours (Å) after each atom.
Space group Fm-3m (No. 225)
Asymmetric unit:
Tm (0.0000, 0.0000, 0.0000) x4  6 Se 2.82
Se (0.0000, 0.0000, 0.5000) x4  6 Tm 2.82

Output
**Calculated density**: 9.136 Mg/m³
**Energy relative to the elements**: -3.80 eV per formula unit

---

Q: Look up the energy relative to the elements of the first one.
A: -1.80 eV per formula unit

---

Repeat the second record exactly.
DFT (r²SCAN) results for crystalline CaTi4S8 at its relaxed geometry.

Cell lengths 6.8744, 6.8744, 20.1761 Å; angles 90.00, 90.00, 120.00 degrees
With the nearest neighbours (Å) after each atom.
Space group R-3m (No. 166, hexagonal axes)
Asymmetric unit:
Ca (0.0000, 0.0000, 0.0000) x3  6 S 2.78
Ti (0.0000, 0.0000, 0.5000) x3  6 S 2.43
Ti (0.0000, 0.5000, 0.5000) x9  6 S 2.43-2.46
S (0.0000, 0.0000, 0.2362) x6  3 Ti 2.43
S (0.0038, 0.5019, 0.2378) x18  3 Ti 2.43-2.46

Output
**Calculated density**: 2.945 Mg/m³
**Relative energy among the computed polymorphs**: 0.0 meV/atom
**Energy relative to the elements**: -21.89 eV per formula unit

----------

Arrangement i

Below is MgTe2Mo3WSe4S2 after structural relaxation, with properties calculated at the GGA-PBE level.

Calculated values